
Tuesday, July 31, 2012

Kellie Beckett's FIRST vinyl kit! Prototype is here :)

I am so looking forward to creating this sweet little girl, Shy.

She is the prototype of Kellie Beckett's first vinyl reborn kit.

She will be approximately 12 inches long and takes a 12 mm eye.

Here is her blank prototype kit:

Don't mind her dress.  It's a bit small for her but it's all I had to show her off in. 
Oh boy!  I get to go little dollie clothing shopping!

I am nearly packed for Ohio and took all of the needed pictures of the newest, finished babies.

Maybe I'll have a little peek for you in the morning. 

If not, I'll see you when I get back!


Monday, July 30, 2012

Matthew had a blast at the Cowgirl Camp!

The little Cowboy is delighted that he is the only boy allowed in camp...except for the male horses of course!

It was time for a little nap in the tent:

One of the best pictures I have ever taken of Toby, my 30 year old gelding:
 What  cowhorse!  :)

And what a little Cowboy riding his Cowhorse!
Oh my goodness, I had such a great time!

== Attached: data records ==
{"formula": "C15H22N2O3S", "method": "wB97M-V/def2-TZVPD", "symbols": ["C", "C", "C", "C", "N", "C", "C", "C", "C", "C", "C", "S", "C", "O", "C", "C", "C", "O", "C", "O", "N", "H", "H", "H", "H", "H", "H", "H", "H", "H", "H", "H", "H", "H", "H", "H", "H", "H", "H", "H", "H", "H", "H"], "xyz": [[-0.987449, -2.987268, 2.878417], [-0.989521, -1.441136, 3.170404], [-2.213066, -0.979595, 4.005470], [0.355619, -1.128777, 3.832549], [-1.012876, -0.664584, 1.939084], [-1.655202, -0.951763, 0.714427], [-2.989116, -1.334971, 0.647159], [-3.583974, -1.447303, -0.607685], [-2.823254, -1.236538, -1.779331], [-1.505957, -0.859888, -1.696925], [-0.891671, -0.725767, -0.438785], [0.814210, -0.266909, -0.314147], [1.494952, -0.326624, -2.046358], [2.554229, 0.642313, -2.191049], [2.226756, 2.016446, -2.296546], [3.533016, 2.779793, -2.080307], [3.385354, 4.324912, -1.970103], [3.034926, 4.869623, -3.220192], [0.413792, -0.272025, -3.155681], [0.593206, 0.070687, -4.319357], [-0.878226, -0.690981, -2.926147], [-1.048135, -3.538255, 3.804730], [-0.084825, -3.260541, 2.349519], [-1.861856, -3.233891, 2.251539], [-2.314629, 0.079205, 3.979360], [-2.078481, -1.260802, 5.042291], [-3.170235, -1.421321, 3.730847], [0.376865, -0.072466, 4.222070], [1.178347, -1.266883, 3.127838], [0.500633, -1.771973, 4.680259], [-0.111810, -0.169949, 1.785817], [-3.574788, -1.492182, 1.538656], [-4.648451, -1.659829, -0.606363], [-3.331910, -1.348481, -2.771342], [1.962355, -1.304281, -2.116956], [1.833010, 2.210572, -3.329287], [1.457716, 2.321286, -1.560224], [3.958636, 2.425828, -1.141133], [4.189732, 2.561555, -2.888333], [4.370528, 4.711325, -1.695721], [2.702432, 4.634106, -1.178322], [2.208259, 4.427410, -3.579780], [-1.389140, -0.960077, -3.790358]], "atomic_forces_ev_per_a": [[-1.0161, 1.2815, -0.2548], [-0.5142, -0.8614, -0.3355], [0.6082, -1.2505, 0.5719], [-0.5511, 1.4676, 0.4333], [1.2861, 0.8860, -1.4023], [1.1534, 0.3830, 1.3538], [-0.1913, 0.0375, -0.9853], [0.6942, 0.0782, 0.0553], [-2.4663, -0.4528, 0.2848], [-0.1639, -0.5451, 0.2594], [-0.3385, -0.0142, -1.4412], [0.2186, 0.2767, -0.0970], [0.0354, 1.1288, -0.3062], [-1.1705, -1.7399, 0.3495], [-0.4905, 0.7650, -0.7432], [-1.0699, 0.7899, 1.2223], [0.2991, -1.4100, -0.2949], [-1.4930, -0.2007, -0.9869], [-1.2930, 0.4144, -1.8606], [1.5843, -0.0448, 1.0023], [0.8775, -0.3637, 0.5236], [-0.0281, -0.2011, 0.2967], [0.2384, -0.0584, -0.1563], [0.3770, -0.0806, 0.2629], [0.0443, 0.8946, -0.1770], [0.1122, -0.1268, 0.4230], [0.1272, -0.1115, -0.4257], [0.0335, -0.8591, -0.4544], [-0.0784, -0.0485, 0.0361], [0.1419, -0.3515, 0.4234], [-1.1353, -0.6433, 0.2512], [0.0663, 0.0789, 0.0912], [0.1613, -0.1257, -0.4640], [0.6512, 0.1779, 0.9755], [0.2448, 0.0750, -0.2461], [0.1258, -0.1620, 0.7767], [0.2742, -0.2420, -0.1623], [0.1715, -0.1379, -0.0068], [0.7155, -0.1912, -0.5883], [-0.1134, 0.1686, -0.2321], [-0.2693, -0.1319, 0.0740], [1.5621, 0.7977, 0.8552], [0.5789, 0.6532, 1.0989]], "homo_ev": -7.97, "orbital_gap_ev": 8.584, "smiles": "CC(C)(C)Nc1cccc2c1S[C@H](OCCCO)C(=O)N2", "charge": 0}

Now, time to get ready to leave for Ohio!!


Thursday, July 26, 2012

2nd Annual Cowgirl Convention

Toby, Matthew and I are off to the mountains
Where the deer and wild horses roam...

I'm not sure if I will have time to blog when I return before I leave for Ohio
but I'm sure I'll be taking some pictures for posting later.
(Sorry, I did not get pictures of the new Create A Babies...Created but they are SO cute!)

Have a great week or two!




Wednesday, July 25, 2012

Two painted hair heads

Of course I can critique them and know that I can get better and better but here are the two heads I painted hair on this week.

The first is on the Celebration of Life Emily:

And the second head is a little Jessica Schenk triplet, Tallulah:

## Misplaced calculated molecules
<<<
# 1
Here is a 2-piece molecular cluster, C12H19BrNO2S2 overall from the OMol25 dataset. Energies are from ωB97M-V/def2-TZVPD.

Computed properties:
**Energy**: -110042.209 eV
**HOMO level**: -12.2952 eV
**Orbital gap**: 8.479 eV

```
! RIJCOSX wB97M-V def2-TZVPD def2/J DEFGRID3
* xyz 1 1
H 1.2386 4.3037 -0.3149
C -0.3744 2.9959 -2.3982
S 0.7852 2.0177 -1.3947
C -0.3752 2.5524 -3.8678
C 2.1609 -5.0599 3.8389
C -0.0931 -3.9782 2.4344
S 2.1331 3.3383 -0.5927
C 1.1817 -3.2320 2.5392
H -1.1525 -5.7472 2.9323
C -0.2614 1.4492 -0.0295
H 3.2160 -3.2897 3.3396
H 2.9580 -5.5453 4.3872
H -2.4842 4.5954 -4.5964
H 1.4053 1.3439 1.3196
C -1.7593 2.6676 -4.5270
H -2.5447 2.4759 -3.7853
C 0.8833 -5.8156 3.7386
H -0.8895 -3.4885 1.8880
Br -2.0381 -0.2041 1.9570
C 0.5401 0.7334 1.0450
O 0.7570 -6.9051 4.2458
O 1.3056 -2.1315 2.0294
H -2.4448 3.8744 -6.0341
H -0.9628 0.7772 -0.5308
C -0.2336 -5.1780 2.9907
H -0.4231 1.4374 2.8682
H -0.0861 4.0403 -2.2873
C 2.2977 -3.8600 3.2817
H 0.0163 1.5358 -3.9564
H -1.8394 1.8870 -5.2828
H -0.8198 2.3089 0.3474
N -1.9255 3.9728 -5.1698
H 0.3014 3.2023 -4.4222
H 0.9137 -0.2250 0.6832
H 0.2280 -0.2235 2.9359
H -1.3501 2.8575 -1.9273
C -0.2641 0.5168 2.3150
*
```

***

# 2
Here is C12H19Cl2NO2PTl as an isolated structure in a non-equilibrium geometry from the OMol25 dataset. Energies are from ωB97M-V/def2-TZVPD.

Computed properties:
**Energy**: -57345.427 eV
**HOMO level (alpha / beta)**: -14.8178 / -13.4733 eV
**Relative energy (zero: lowest compared OMol25 entry of this formula, charge and spin)**: 0.0 kcal/mol
**Orbital gap (alpha / beta)**: 6.578 / 4.915 eV

```
! RIJCOSX wB97M-V def2-TZVPD def2/J DEFGRID3
* xyz 2 1
C -0.3449 -0.7993 3.5827
C 0.5350 1.2099 5.3314
C 1.2378 2.7569 -1.3624
H -0.6517 -1.5936 2.8897
H -1.0736 0.5294 6.6549
H -1.8297 -1.2485 5.0550
C -1.4827 0.6662 0.6279
C -0.9899 -0.6125 4.7927
O -2.5564 -3.6281 -3.2734
C -1.4786 -3.9322 -3.6071
O -2.0959 0.2796 1.5123
Cl 1.4080 -0.1825 -0.7361
N 1.4137 -0.2084 2.0831
H 0.9945 -0.7626 1.3129
H -1.0304 3.3968 -2.6513
H 0.1305 1.8048 -3.7616
H -0.9765 0.4542 -3.3984
C 0.7556 0.0078 3.2445
C -0.5498 0.3855 5.6646
Tl 0.4289 -2.9785 -2.1270
P -0.1471 1.5562 -1.4128
H -1.0319 -5.1166 -5.2925
H 0.7978 0.2178 -3.2467
H 1.1317 3.3641 -0.4579
H 2.0428 1.6494 3.8436
H 0.2117 -3.7646 -4.9897
H 0.3184 -5.1311 -3.9886
H 0.8652 1.9906 6.0204
C 1.1954 1.0267 4.1249
C -0.4487 -4.5495 -4.5551
Cl 3.0656 -2.4686 -2.1412
H 1.1439 3.3978 -2.2426
C -1.4077 2.8282 -1.7891
H 2.2021 2.2494 -1.3490
H -2.3483 2.3440 -2.0452
H 2.1234 0.4528 1.7464
H -1.5332 3.4815 -0.9300
C -0.0248 0.9265 -3.1292
*
```

***

# 3
Here is a 3-piece molecular cluster, C12H19Cl4N2 overall in a non-equilibrium geometry from the OMol25 dataset. Energies are from ωB97M-V/def2-TZVPD.

Computed properties:
**Energy**: -65816.173 eV
**HOMO level**: -12.4459 eV
**Orbital gap**: 8.286 eV

```
! RIJCOSX wB97M-V def2-TZVPD def2/J DEFGRID3
* xyz 1 1
H -6.6269 -1.3437 -0.1535
H 3.4016 -1.0352 2.6463
>>>
## So much for the calculated molecules

The Emily head had been textured with Genesis Satin Varnish before painted and both heads are painted with LDC paints mixed with Liquitex Ultra Matte Gel.

I'll be purchasing some new brushes so that the next heads are even better.  

Look at these three sweet darlings:

Three new little Create A Babies...Created!
They will get assembled today and be ready for the show at Sauder Village.

One more little doll to finish the artwork on and all the babies will be complete for the show.


Tuesday, July 24, 2012


Ever have those days where you just don't know what to share??

I have many things in the works but no pictures to share...yet.  

My mind is in a million different directions as hubby and son plan a camp out with the camp trailer and I plan one with the horse trailer, tent and horse!

But I did work all day yesterday and am working all day today.  

OH! I know something to share.

When I grow up I want to paint hair just like this:

Isn't that just gorgeous?!?! 

Monday, July 23, 2012

Create A Baby...Created! NEW LINE!

I have completed my first "Create A Babies...Created!" for the new line I will be adding to my website.  

Please meet Keaton!

Isn't she JUST adorable???

She was so much fun to create and didn't take much time.  Here are two photos of her with one of the original Create A Baby dolls:

 I will be carrying both the original Create A Baby dolls on my website as well.  

The price points on these dolls are:
$65 for the un-assembled version (where you can create your own by putting them together)
$75 for the assembled version and 
$150 for the enhanced version.

These are nice, inexpensive "reborn" dolls.

I have a page up on my website regarding these dolls but they won't be for sale until after at least the Sauder Village show in August.

Enjoy the rest of the pictures of Keaton!

Enjoy Monday!

Thursday, July 19, 2012

Sharing my Collection Friday~Matthew's new toy!

I was quite busy this week but I could not help walking by and grinning at Matthew who was sitting in his high chair with his new "Woody" toy.  

I think he likes it and I sure do like him!

Wednesday, July 18, 2012

How's that new schedule going?

Since I've been back from the 2012 Down East Doll Show, I have been working JUST the 40 hour week in the nursery (actually mostly in mohair but I'm about to the end of this round of hair and will finish up toay~oh my aching body!) and balancing the rest of my week/time on taking care of my home, family animals and me. 

When I compare the nursery work to what I used to get done, I feel like I have gotten nowhere.
But when I look at my whole life in balance, I smile.  :)  And I realize that I HAVE gotten things done in the nursery, and I've done it well. 

The next couple of weeks will be a whirlwind, but I am nearly ready for it.
Next Thursday, I leave for the 2nd annual "Cowgirl Convention" where a group of my horse loving friends and I take our horses and camp for 4 days in the mountains of Oregon where the wild horses roam.  The only males allowed on the trip are our trusty steeds and...
He is already all packed and anxious to see his Cowgirl Aunties again.

I'll return home that following Sunday and have two days to get finished up and packed up for my trip to Ohio for the Sauder Village Doll and Teddy Bear Show 

My sister is going to come to the show from Eastern Ohio and take me to her house for a couple of days after the show.  I have not seen her for 14 years!  THAT will be great!

When I return home, I will have 2 days before I pick up my 9 yr old grand girl for our annual 2 week summer visit.  We have many things planned  :)  

Then I'll take her home and have a few days before the Portland, OR Labor Day Doll and Teddy Bear show.  

Sounds like fun to me! 


Tuesday, July 17, 2012

"Shy" prototype by Kellie Beckett!!

It is with GREAT excitement that I share that Kellie Beckett 
(creator of my little red-headed twins, Austin and Aubrey)
has her first vinyl reborn kit coming out soon (produced by Petra's Dolls) and I have been chosen to reborn one of the prototypes!

She is going to be approximately 14 inches in length and cute as a button!
Here are some pictures of her clay sculpt:

When I began collecting and reborning, I didn't think I would like smaller dolls like Shy.  
I saw no reason to expend the energy to reborn a doll this size.  However, it did not take long until I first tried my hand at a "crib cap" size as we called them back then.  Once I did...I fell in love!
I have many dolls this size in my collection and they are one of my favorite sizes to reborn.

This is going to be fun!

Monday, July 16, 2012

Reborning DVD comments/compliments

Several people have written to me to express how much the TNGUN Reborning DVD has helped them, but this new artist really covered her feelings on the DVD very well.

So I thought I would share  :)  

Dear Debbie,
There are not enough words in English to describe my utmost appreciation of your OUTSTANDING DVD! I got it just before I started to root and assemble my first doll and just can't tell you how much it was helpful! I have seen several different DVD courses, but trust me: your one can't be compared in any way to those!!!! It is so detailed, and you are not just showing the beginning of each step and giving freedom to the people to complete it by themselves the way they think it is good, but you show each step from the very beginning to the very end, explaining the purpose of it, describing any problems we could face, telling us, which tools, glues etc. to use.   This is the most important and helpful reborning tool I bought and I am really happy and grateful to you for all your effort and courage in filming and compiling this DVD course!!! My first reborn doll Jan (he reminds me of a Scandinavian baby) was rooted and assembled thanks to your wonderful DVD. Although I am currently using Genesis paints,  I'm dying to start my next baby using your color mixing technique - it is useful for any paint, not just LDC, as I have experienced. Thanks a lot, Debbie!!!
Many hugs,

Katia is from Russia and has confirmed that the DVD DOES play in foriegn countries.

Here are pictures of Katia's first reborn:

 Did you catch that she painted her baby using Genesis Heat Set Paints yet used my LDC color guides to help her mix the skin tones?  This delights me to no end that the color guides help Genesis users as well!

Katia gets an A++!  Jan is a beautiful baby!

Another customer is a young lady who is currently making her first reborn using the DVD.
A photo of her in her workspace was shared that just warms my heart!

The DVD's can be ordered from these places:


I will have the DVD's at the Sauder Village Doll and Teddy Bear show August 4-5 in Sauder Village, Ohio.  Stop by my table to see it playing!

Sunday, July 15, 2012

"Revelation of Character"

With the release of my blog post the other day regarding Karen Feagin Dudin, many artists have come forward with their story regarding this buyer.

The communications between this buyer and the sellers have been very similar in context.  
I am simply amazed at how similar they are, and my heart breaks for these sellers.

Karen Feagin Dudin has mentioned the term "Defamation of Character" as a crime that I committed.
I'm sorry.  Her words, typed by her, cannot charge me with Defamation of Character.  There are no gray areas within the emails.  None at all.  Just the facts as they played out.

From The Free Dictionary:
Any intentional false communication, either written or spoken, that harms a person's reputation; decreases the respect, regard, or confidence in which a person is held; or induces disparaging, hostile, or disagreeable opinions or feelings against a person.
I do believe that  the emails with her words created a "Revelation of Character" and sellers need to stay clear of this buyer. 


Friday, July 13, 2012

Sharing my collection Friday~DOUBLE trouble!

At the Down East Doll Show, I found these terrific Fisher Price toys and gave them to my twins, Aubrey and Austin to play with.  Aubree and Austin are 10 inches long.

Aubrey loves the ring stacker and Austin loves the blocks.
He even stacked them himself!
 Aubree sees something inside the shape ball so comes in for a closer look:
 She is wondering how to get those shapes out of there!
 Austin is still delighted to play with the blocks and begins stacking them in a wider stack:
 And then...
"OH MY GOSH Aubrey!  That was not nice!"
Poor Austin is so upset that Aubrey knocked down his stack of blocks.
 So I put Aubrey in "time out" and allowed Austin to be the first one to play with the bubble popper.
 He thinks that is pretty neat too!
 And it appears that he forgot about the block incident.
 Aubrey does not look too upset in her "time out".
 After all that playing and activity, it's time for bed.
Oh dear, they still look pretty riled up!
 "Lullabye and goodnight...."
(Looking sleepy and sucking their thumbs)
 "Sleep tight little babies..."